How Foreign Cyber Spies Stole Kazakhstanis’ Personal Data

cover Orda

Chinese hackers had been stealing data from Kazakhstani information networks for two years. Information about this surfaced after documents with this data were published on GitHub. has looked into the matter.


The large-scale leak of data collected by the Chinese company iSoon happened in February of this year. Dozens of files have appeared in the public domain on the GitHub website. Chinese cyber spies targeted law enforcement and official agencies around the world, including NATO. The cyberattack was also very widespread and ranged from Kyrgyzstan to France.

Kazakhstani consumers’ data from KazakTelecom, Beeline, Kcell, and Tele2 fell into the hands of the hackers. Cyber spies had even gained complete control over the file and anti-virus servers of Kazakhstani companies. Among the key targets of the attack were law enforcement officers. The Center for Analysis and Investigation of Cyber Attacks (TSARKA - Ed.) reported that the UAPF had been mentioned in the leaked documents, yet the pension fund hastily assured that there was no data leak on their side.

iSoon undoubtedly collected information about security forces around the world, including Kazakhstan, at the behest of an intelligence agency. They had been doing it for at least two years.

When reports on the leak emerged, The Ministry of Digital Development, Innovation, and Aerospace Industry reported that it was assessing the situation with the KNB. Law enforcement agencies launched unscheduled inspections.

The Ministry’s Information Security Committee held a briefing, where the blame was delicately not laid on China’s door. The committee’s chairperson, Ruslan Abdikalikov, stressed that China is a "strategic partner" of Kazakhstan. However, he did not explain how the strategic partnership is mixed with espionage.

Western experts, unlike Kazakhstani ones, have openly stated that the Chinese special services are behind the iSoon hackers. Citizens received advice to accept the idea that their data is likely to have already been compromised.

Stolen data cannot be returned, so it's too late to wonder who reaped the benefits. Perhaps, the more appropriate question is how was this even possible.

Security on Crutches

The data leak from iSoon has revealed the weak spots in Kazakhstan's information infrastructure against cyber attacks. Vulnerabilities and threats exist both at the level of software and at the level of hardware used in Kazakh government agencies and corporations. Kazakhstan buys a significant part of the equipment from China. Hackers from China are certainly well aware of the weaknesses of such hardware.

There are two levels in programming — upper and lower. The lower one is just at the "hardware" level. When a computer operates somehow even without an operating system, this is the lower level. And if the equipment comes to us already with Chinese tech, then hackers could exploit those vulnerabilities that they already know about in advance,notes IT expert, Sergey Akhmetov, president of the Kazakhstan Association of Big Data and Analytics. 

TSARKA rejects the idea that, in this particular case, the hacking was somehow related to vulnerabilities at the hardware level. But this does not mean that there is no such problem.

Yes, there are vulnerabilities in Chinese equipment, as well as in other products. But there is no direct evidence that Chinese companies that supply hardware and software are leaking these vulnerabilities to security agencies so that they can hack us. We cannot confirm this, said Olzhas Satiyev, TSARKA President.

IT expert Sergey Akhmetov believes that the reason for the massive data leak is systemic problems with the country's digital infrastructure. The information security market in the Republic of Kazakhstan is very small. Tenders are held with three or four companies, most purchases are carried out behind closed doors. This applies to both hardware and software. And investments in infrastructure development are modest.

They save on everything they can. At least in the projects that I came across — there was the cheapest firewall, the cheapest hardware from China. Tenders are held with a narrow range of companies. When tenders are announced, information security specialists are not consulted. They already give everything to our security services after the fact: here, we bought such and such a server. And it, for example, no longer meets the safety requirements. For instance, the Damumed project, I know for sure that it was given to the security services after the fact when everything was written and done, says Sergey Akhmetov.

The expert advises adopting the experience of the European Union, Russia, or China, where when developing new services and purchasing equipment, everything is immediately worked out with information security specialists. No longer setting unrealistic deadlines for developers is also crucial.

We like to speed up the deadlines very much: a minister comes out, announces some figures spun out of thin air, and then there are those siphoning off this whole thing... You can do it either quickly or well, these are incompatible things.

Sergey Akhmetov emphasizes that Kazakhstan's information infrastructure is still largely on "crutches". This is what IT specialists call temporary solutions that have to be resorted to for urgent troubleshooting. The "crutches" are usually replaced later with something more reliable. But in the case of Kazakhstan's information security, there is nothing more permanent than temporary.

The system always breaks down at the architecture layer: if it is poorly designed, then it is very difficult to protect it in the future. Roughly speaking, a house was built without your participation, and then you are called in as an expert and asked: do you think it can withstand nine points (reference to earthquakes - Ed.)? And there are a lot of violations at the construction level. This is also the case with many IT projects. Our whole architecture is old. Everyone digitized as best they could. I'm talking about government services now, not even about Kazakhtelecom, where everything is even worse. Thus, there cannot be a single solution, there are too many different projects. One of the options is to work more with security services, to give the solution of problems to the market, which is easier to control, concludes Sergey Akhmetov.

Not a Cure-all

**Inserted here: records of molecules**
____________
C3H6O4Sr as an isolated structure at a distorted geometry, computed with ωB97M-V with the def2-TZVPD basis set.

Positions of all 14 atoms, in Å:
Sr  -1.8389  -2.7198  1.7728
O  -1.3698  -0.1337  1.5946
O  1.1332  -1.1889  -1.7007
O  1.1943  0.8988  -0.7605
O  1.9243  0.5487  -2.8021
C  0.6547  0.4764  0.4876
C  -0.8597  0.6287  0.5035
C  1.4052  0.0951  -1.8103
H  0.1658  -1.5035  -1.5372
H  -1.3204  0.2844  -0.4350
H  -1.1225  1.6865  0.6232
H  0.9988  -0.5370  0.7454
H  1.0978  1.1164  1.2587
H  -2.0628  0.3478  2.0598

- lowest unoccupied orbital energy (eV) = -0.27
- gap between HOMO and LUMO (eV) = 5.024
- E_HOMO (Ha) = -0.1944
- total charge = 0



An isolated ion of composition C3H6OS and charge -1 at a distorted geometry, computed with ωB97M-V with the def2-TZVPD basis set.

Positions of all 11 atoms, in Å:
S  1.0163  2.5561  1.0400
O  -0.5626  -2.4304  0.3419
C  -0.2146  -0.0407  0.4663
C  0.1681  1.2625  -0.0029
C  -0.1037  -1.2963  -0.3691
H  -0.6820  -1.1316  -1.3827
H  0.3804  -0.2234  1.3819
H  -1.3829  -0.1034  0.4157
H  -0.6246  1.8528  -0.4916
H  0.9381  0.9459  -0.7268
H  1.0676  -1.3917  -0.6727

- lowest unoccupied orbital energy (alpha / beta) (eV) = 3.25 / 1.27
- gap between HOMO and LUMO (alpha / beta) (eV) = 5.798 / 3.786
- E_HOMO (alpha / beta) (Ha) = -0.0937 / -0.0924
- expectation value of S² = 0.75
- total charge = -1
- multiplicity = 2



One molecule with the formula C3H6OS at a distorted geometry, computed with ωB97M-V with the def2-TZVPD basis set.

Positions of all 11 atoms, in Å:
S  0.5416  1.5787  1.1249
O  -1.7305  -0.0228  -0.0817
C  -0.5186  -0.7254  -0.0530
C  0.8029  0.0025  0.3593
C  0.5351  -0.2513  -1.0627
H  1.2621  -0.9473  -1.5921
H  -0.7161  -1.7819  0.2052
H  -1.4276  0.8705  0.0342
H  0.2198  0.6141  -1.7134
H  1.5422  -0.5336  0.8854
H  -0.5109  1.1964  1.8939

- lowest unoccupied orbital energy (eV) = 0.87
- gap between HOMO and LUMO (eV) = 10.197
- SMILES = O[C@H]1C[C@H]1S
- E_HOMO (Ha) = -0.3428
- total charge = 0



A 2-piece molecular cluster, C3H6OS overall at a distorted geometry, computed with ωB97M-V with the def2-TZVPD basis set.

Positions of all 11 atoms, in Å:
S  -0.5724  -2.9741  1.3036
O  0.0162  0.7107  0.2833
C  -0.4309  -2.7995  -0.3526
C  0.1130  2.0946  0.3401
C  0.4564  1.3006  -0.8908
H  -1.0850  -1.9177  -0.6828
H  1.4935  1.2561  -1.0109
H  -0.8831  2.5425  0.3147
H  0.9074  2.5571  1.0205
H  0.1822  -4.0939  1.4445
H  -0.1974  1.3237  -1.7697

- lowest unoccupied orbital energy (eV) = 0.08
- gap between HOMO and LUMO (eV) = 8.726
- E_HOMO (Ha) = -0.3176
- total charge = 0



One molecule with the formula C3H6OS at a distorted geometry, computed with ωB97M-V with the def2-TZVPD basis set.

Positions of all 11 atoms, in Å:
S  -0.3588  -2.3483  -1.7713
O  0.2618  0.6355  0.1376
C  0.8222  0.9294  1.4183
C  -0.6237  -0.2094  -0.0707
C  -0.6538  -0.6263  -1.5016
H  -1.6282  -0.4360  -2.0032
H  1.6412  1.5878  1.1352
H  -1.0803  -0.7374  0.7435
H  0.1229  -0.1104  -2.0351
____________
**Here the page continues**

It is tempting to assume that Kazakh government agencies were simply being frugal with anti-virus protection. The programs used by the Chinese hackers can bypass 95% of modern anti-viruses, however. The country's information infrastructure is not ready for such attacks.

Olzhas Satiyev from TSARKA points out that the personal and corporate data of Kazakhstanis was stolen by a group of professionals with a clear idea of what information they wanted. IT experts call such groups APT (Advanced Persistent Threat -Ed.). They easily bypass anti-viruses.

An anti-virus is not a cure-all. Any anti-virus can be bypassed. If you know that some company uses a certain anti-virus, then you script a specialized virus or Trojan that bypasses this particular anti-virus. That is, an anti-virus is more likely to protect against mass attacks, explains Olzhas Satiyev.

According to IT expert Sergey Akhmetov, the anti-virus provides a basic level of protection. It will help you recognize a Trojan-infected flash drive and warn you if a website is not secure. It will not save you from a targeted attack, though. The fact that the Chinese hackers easily infiltrated the networks of Kazakhstani telecom operators indicates that these companies did not pinch pennies on anti-viruses, but on more complex security elements.

There should be a firewall along with the anti-virus, which should at least warn that there is something alien in the system and that it is transmitting data somewhere. And the whole system should have been closed off. This indicates the low workmanship of the Ministry of Digital Development, Innovation, and Aerospace Industry itself as a whole — it seems to me that they do not fully understand the scale of the problem. This is a nationwide precedent after which it is necessary to check all services, even those that are still being written, explained Sergey Akhmetov

Someone pasted records of molecules at this point >
[1]
The following is a quantum chemistry calculation of an isolated molecule of C3H2N4O in a non-equilibrium geometry, from the OMol25 dataset.

```
10
C3H2N4O, DFT the ωB97M-V functional and the def2-TZVPD basis
O -2.0059 -0.5093 0.2019
C -0.8020 -0.2286 0.0308
C -0.6538 1.2801 -0.1307
N 0.4855 1.9121 0.0745
N 1.2084 0.7759 0.5994
N 1.8493 0.1583 -0.2788
N 1.4786 -1.4088 0.1052
C 0.2309 -1.3569 0.0758
H -1.5962 1.7080 -0.4283
H -0.1949 -2.3307 -0.2498
```

## Properties
- E_HOMO (eV) = -10.255
- calculated total energy (hartree) = -409.5620
- SMILES = O=c1cnnnnc1
- spin multiplicity = 1
- ΔE to the lowest compared entry with this formula, charge and spin (kcal per mole) = 104.3
- E_LUMO (eV) = -1.645

=====

[2]
The following is a quantum chemistry calculation of a structure of composition C6H12 in a non-equilibrium geometry, from the OMol25 dataset.

```
18
C6H12, DFT the ωB97M-V functional and the def2-TZVPD basis
C -2.1294 -0.0227 -1.0101
C -0.8179 -0.7873 -0.8453
C 0.2378 0.1074 -0.1978
C 1.0198 0.8398 -1.1328
C 0.2664 0.2911 1.2229
C 1.4272 -0.3327 1.9840
H -2.9511 -0.6973 -1.2518
H -2.3210 0.4875 -0.0641
H -2.1250 0.6560 -1.8602
H -0.4505 -1.1029 -1.8230
H -0.9627 -1.6921 -0.2496
H 1.7744 1.4930 -0.7105
H 0.6540 1.1534 -2.1116
H -0.0381 1.2708 1.5925
H 1.2939 -0.4191 -0.8016
H 1.4275 -0.1538 3.0512
H 1.3865 -1.4085 1.7689
H 2.3582 0.0791 1.5760
```

## Properties
- E_HOMO (eV) = -6.138
- calculated total energy (hartree) = -235.6050
- spin multiplicity = 1
- ΔE to the lowest compared entry with this formula, charge and spin (kcal per mole) = 133.8
- E_LUMO (eV) = 0.347

=====

[3]
The following is a quantum chemistry calculation of a cluster of 10 separate species, C38H60Cl8N8 in total in a non-equilibrium geometry, from the OMol25 dataset.

```
114
C38H60Cl8N8, DFT the ωB97M-V functional and the def2-TZVPD basis
Cl 4.5501 -0.0528 -1.3352
C 6.1264 -0.8306 -1.5334
Cl 6.0978 -2.3997 -0.7373
Cl 6.4687 -1.0263 -3.2648
Cl 7.3935 0.1996 -0.8572
Cl 0.1969 -1.9531 -3.8091
C 1.9603 -2.0498 -4.1863
Cl 2.7521 -3.0244 -2.9669
Cl 2.1593 -2.7399 -5.7854
Cl 2.5969 -0.4107 -4.1276
C 0.2292 -1.0623 5.6194
C 1.4522 -0.5152 5.1038
C 1.2942 -0.4358 3.7515
N 0.0662 -0.9207 3.4025
C -0.5923 -1.2770 4.5514
H -0.0176 -1.2344 6.6536
H 2.3202 -0.1920 5.6524
H 1.9808 -0.1028 2.9962
H -0.2649 -0.9983 2.4529
H -1.6057 -1.6427 4.5091
C 1.1799 -0.3683 0.1268
C 0.0221 0.3560 0.4987
C -1.0715 -0.4523 0.2695
N -0.5988 -1.6503 -0.2076
C 0.7618 -1.5931 -0.3178
H 2.1829 0.0146 0.2214
H -0.0343 1.3551 0.8998
H -2.1272 -0.2755 0.3938
H -1.1681 -2.4780 -0.4067
H 1.2625 -2.4291 -0.7753
C 4.4707 -0.3835 2.1215
C 5.8549 -0.3983 2.4026
C 6.2056 -1.7064 2.6186
N 5.0903 -2.4780 2.4353
C 4.0145 -1.6767 2.1469
H 3.8533 0.4788 1.9224
H 6.5566 0.4191 2.3996
H 7.1725 -2.1575 2.7653
H 5.1053 -3.4762 2.3343
H 3.0324 -2.0703 1.9508
C -0.9512 2.7664 3.3503
C -2.0650 2.3983 2.5500
C -3.1010 3.2481 2.8323
N -2.6697 4.0822 3.8301
C -1.3652 3.8034 4.1458
H 0.0029 2.2675 3.2936

Valery Zubanov, Managing Director of Kaspersky Lab in Kazakhstan, Central Asia, and Mongolia, also notes that anti-viruses alone are not enough to protect data.

An anti-virus solution is one of the last frontiers of protection. To prevent an attacker from reaching the endpoint, serious perimeter protection is needed. For example, protection of the web gateway, corporate mail along with an in-depth analysis of all suspicious, and not only, events, and also instruments capable of quickly responding to complex threats detected. Cyber hygiene is also of great importance, the spreading of knowledge about cybersecurity among the organization's employees says Valery Zubanov.

If an anti-virus is configured correctly, the success rate of a hacker attack will be notably reduced. But the technologies used by hackers are constantly being improved. Therefore, to protect against complex and targeted attacks, it is not enough to install good anti-viruses in all government agencies: a whole range of measures is necessary.

Not Enough Hands Make Work Hard

After the iSoon scandal, Majiis deputy Ekaterina Smyshlyaeva decided to check how many employees the Ministry of Digital Development, Innovation and Aerospace Industry Information Security Committee has. It turned out that only four people are formally responsible for protecting the personal data of 20 million Kazakhstanis.

The staff of the committee includes a head, an expert, and two main experts. It is unlikely that these four will stop a hacker group consisting of dozens of cyber spies with powerful equipment and expensive software. Even the support of "ethical hackers", who help to find and close security gaps, will not solve the problem. Kazakhstan's information security services market is too small, and every specialist is worth their weight in gold.

There is a need to create a separate cybersecurity agency. Yes, we have a regulator, the Information Security Committee under the Ministry of Digital Development, Innovation, and Aerospace Industry. But they won't be able to protect the whole country. Therefore, we need a separate agency that reports directly to the president or the Security Council, which has the authority to check any state information system for any problems, leaks, vulnerabilities. We have Antikor, we have FMA — there must be a cybersecurity agency, said Olzhas Satiev, president of TSARKA.

It would be unfair to say that the aforementioned Information Security Committee is toothless. Yet, the decisions they take to protect the personal data of Kazakhstanis are more likely directed against internal threats. The committee, for instance, wants to codify the concept of “super administrator”. This will be the name of a technical specialist who has access to all systems and databases. There is virtually no regulation for such specialists at the moment.

We understand that personal data leaks can occur, among other things, due to the impunity of super administrators, and we decided to remove this loophole. To do this, it is necessary to specify who the super administrator is, what requirements are imposed on them, what technical aspects will allow to control their work,  said Ruslan Abdikalikov, head of the Information Security Committee under the Ministry of Digital Development, Innovation and Aerospace Industry.

The committee explained that all information about the actions of super administrators is planned to be collected in a separate database with blockchain. The data will be sent from there to the State Technical Service. This will prevent administrators from covering their tracks in a system. Such innovations will help to combat leaks at the corporate level but in no way protect the data of Kazakhstanis from targeted hacker attacks from abroad.

Sergey Akhmetov believes that if we evaluate the security of Kazakhstan's information infrastructure as a percentage, then this figure will be a mere 30-35%. But it is possible to bring it up to 70-80%. The expert suggests recalling the experience in the banking sector. Indeed, relatively young Kazakhstani banks have managed to build a competent information security infrastructure and protect customer data.

According to Olzhas Satiyev, it is time for Kazakhstan to create its own "cyber army" of hackers to guard the country's “digital” borders. This task is becoming increasingly important by the day, considering that such attacks can stem from anywhere, even from states that are thought of as allies.

It Can Be Done Again

Cybersecurity experts warn that the iSoon leak is just the tip of the iceberg. The documents published online allow for a general understanding of the extent of Chinese hackers’ infiltration of Kazakhstan’s information networks. Olzhas Satiyev notes that there may be much more stolen data.

Misplaced quantum chemistry results:
'''
Record 1
Here is C7H19Br2IrN2O2Si as an isolated structure from OMol25. Energies are from ωB97M-V with the def2-TZVPD basis set.

```
34
C7H19Br2IrN2O2Si, DFT ωB97M-V with the def2-TZVPD basis set
Ir 0.6108 0.7985 0.1193
Br 3.3566 1.0233 0.2767
C 3.2485 0.9889 2.2158
Br 1.3675 1.0069 2.7250
H 3.7351 1.8714 2.6142
H 3.7009 0.0720 2.5761
C -3.6749 4.2605 -0.3292
O -3.2353 2.8859 -0.2776
C -1.9844 2.5568 -0.2300
O -1.6586 1.3796 -0.0592
N -1.0372 3.5254 -0.3718
N 0.3056 3.1308 -0.4336
H -4.7574 4.2151 -0.2997
H -3.3729 4.7424 -1.2599
H -3.3157 4.8059 0.5431
H -1.2716 4.4681 -0.6450
H 0.8392 3.6965 0.2227
H 0.6798 3.2987 -1.3672
C 1.3077 -3.3247 -1.9245
Si 0.4543 -2.8485 -0.2856
C 1.5723 -3.0760 1.2051
C -1.0365 -4.0474 -0.2401
C -0.2058 -1.0734 -0.4772
H 1.5064 -4.3950 -1.9163
H 2.2560 -2.7892 -2.0191
H 0.6701 -3.0877 -2.7757
H 1.7516 -4.1372 1.3787
H 1.1425 -2.6642 2.1217
H 2.5476 -2.6091 1.0413
H -0.6533 -5.0640 -0.3109
H -1.7040 -3.8560 -1.0795
H -1.5914 -3.9329 0.6932
H -1.1385 -0.9750 0.1005
H -0.4149 -0.8464 -1.5313
```

- charge = +2
- expectation value of S² = 6.01
- multiplicity = 5
- orbital gap (spin up / spin down) (Ha) = 0.309 / 0.212
- DFT total energy (eV) = -165423.915
- lowest unoccupied orbital energy (spin up / spin down) (hartree) = -0.2592 / -0.3608


Record 2
Here is C7H19Br3N6O12 as an isolated structure from OMol25. Energies are from ωB97M-V with the def2-TZVPD basis set.

```
47
C7H19Br3N6O12, DFT ωB97M-V with the def2-TZVPD basis set
C 6.2464 10.5560 11.6093
Br 5.7869 12.2979 12.1496
Br 5.4531 10.1083 9.9202
Br 5.7434 9.3308 13.0420
H 7.3715 10.4920 11.6118
C 10.5867 10.1678 14.6461
N 9.8385 10.1082 13.3977
O 9.9489 9.1532 12.6860
O 9.1976 11.1021 13.1129
H 10.6024 9.1712 15.0332
H 10.0118 10.8269 15.3173
H 11.4922 10.7371 14.4529
C 10.1682 14.0177 11.4654
N 11.0968 13.5080 12.4877
O 11.5916 12.3871 12.3739
O 11.2223 14.1589 13.4862
H 9.9438 15.0312 11.8179
H 9.2247 13.4429 11.5173
H 10.6252 13.8199 10.4697
C 11.2606 6.8562 10.2359
N 9.8233 6.4257 9.9201
O 9.1903 7.1790 9.1768
O 9.3627 5.4760 10.5022
H 11.3904 7.9208 10.1432
H 11.9206 6.3981 9.4680
H 11.4691 6.5927 11.2295
C 4.6748 13.9216 8.6838
N 4.8851 14.6185 7.3868
O 5.8392 15.4080 7.3875
O 4.0721 14.5065 6.4770
H 4.5348 12.8268 8.4552
H 3.7430 14.2994 9.1239
H 5.6137 14.1194 9.1749
C 9.8647 7.8141 5.9282
N 11.0368 7.6933 6.9207
O 11.6094 8.7566 7.2823
O 11.3560 6.5734 7.2394
H 9.7906 6.8964 5.2926
H 10.0697 8.6882 5.3085
H 8.9419 7.8747 6.4789
C 10.1439 10.7289 9.5405
N 8.9354 11.3650 8.8749
O 8.4486 12.2890 9.4946
O 8.5290 10.8813 7.8234
H 10.8799 11.5369 9.6836
H 10.4909 9.8818 8.9190
H 9.8219 10.4437 10.5161
```

- charge = 0
- orbital gap (Ha) = 0.368
- DFT total energy (eV) = -251187.664
- lowest unoccupied orbital energy (hartree) = -0.0091


Record 3
Here is a 3-piece molecular cluster, C7H19BrNO3 overall from OMol25. Energies are from ωB97M-V with the def2-TZVPD basis set.

```
31
C7H19BrNO3, DFT ωB97M-V with the def2-TZVPD basis set
'''

What was posted on GitHub is only a small part of the information. Unfortunately, we do not see the full scale of the situation. Perhaps there will be subsequent leaks from the same hacker group that will show how much data they have leaked. But we see that there was a whole hacker group that worked with the special services of a country, which infiltrated the structures of telecom providers and other organizations in Kazakhstan, were there for two years, pinpointed information about people of interest, including representatives of law enforcement agencies, says Olzhas Satiyev.

The iSoon hackers were collecting information. Unlike North Korean cyberspies, they did not infect computers with ransomware programs and did not try to disrupt the work of government agencies’ websites. The Guardian, citing British and American IT experts, points out that such massive data collection can serve as a foundation for malicious actions in the future. And now Kazakhstan is virtually unprotected from new attacks.

It seems to me that the probability of a repeat of such an attack is about 90%. Honestly and objectively speaking, if the Chinese want to get some information from us, they will. I looked at GitHub — there is pretty serious data there. And this is just what has leaked, says Sergey Akhmetov.

The risk of new leaks is high. According to experts, private companies that do not allocate the appropriate funds for information security are exposed to it.

Classic risks for organizations are the loss of personal and other critical data, business process shutdown, stealing of funds, and, as a result, serious damage to reputation. With a successful attack on manufacturing enterprises, the consequences can be no less serious, starting with the shutdown of technological processes and ending with man-made disasters, warns Valery Zubanov.

Chinese hackers had been quietly operating in the information infrastructure of the Republic of Kazakhstan for two years. It took another year to close the gaps they used. Perhaps a new hacker attack is already underway, and the personal data of Kazakhstani intelligence officers is leaking abroad right now.

We do not know how many other such groups working for the special services of foreign countries that are engaged in cyber espionage, extortion of money, and so on. Perhaps, all of them are also in our infrastructure: in the systems of banks, other telecom operators, and government agencies. Unfortunately, based on this case, we have to accept the fact that these groups are here, collecting and selling data, engaged in cyber espionage, Olzhas Satiyev summed up.

Hackers, and not only Chinese, can infiltrate Kazakhstan's critical information infrastructure in a way that no one at the Ministry of Digital Development, Innovation and Aerospace Industry will notice. And neither Bagdat Musin, who regularly reports on the scale of digitalization, nor the four people safeguarding Kazakhstanis’ data will be able to explain to Kazakhstanis why citizens' personal data is completely unprotected from foreign cyber spies.

Original Author: Nikita Drobny

DISCLAIMER: This is a translated piece. The text has been modified, the content is the same. Please refer to the original piece for accuracy.